'''
No. 1
Diffraction record for V4Mo. The X-ray powder pattern is simulated, not measured: it uses a crystal structure in Alexandria, relaxed with PBE and Cu Ka.

Principal peaks in the range 2θ from 5° to 70°, in order of rising 2θ:
| (hkl) | two_theta | I (rel.) |
| --- | --- | --- |
| 1 1 1 | 34.98 | 24 |
| 0 3 0 | 36.46 | 22 |
| 1 2 1 | 41.05 | 100 |
| 1 0 -2 | 41.24 | 38 |
| 2 1 -1 | 42.04 | 28 |
| 2 1 0 | 42.45 | 22 |
| 1 3 -1 | 44.40 | 35 |
| 2 2 -1 | 47.36 | 37 |

Structure:
Unit cell a=4.6295 b=7.3933 c=4.4773 alpha=90.00 beta=106.14 gamma=90.00
Space group P2/c (No. 13)
Inequivalent atoms, fractional coordinates:
V1 0.1689 0.1737 0.0760 (multiplicity 4)
V2 0.2427 0.4105 0.5287 (multiplicity 4)
Mo1 0.5000 0.1209 0.7500 (multiplicity 2)



No. 2
Diffraction record for PmPr12Ho2. The X-ray powder pattern is simulated, not measured: it uses a crystal structure in Alexandria, relaxed with PBE and Cu Ka.

Principal peaks in the range 2θ from 5° to 70°, in order of rising 2θ:
| (hkl) | two_theta | I (rel.) |
| --- | --- | --- |
| 2 0 4 | 28.35 | 28 |
| 0 2 7 | 29.05 | 47 |
| 2 2 2 | 29.79 | 69 |
| 0 4 0 | 30.45 | 68 |
| 0 2 8 | 32.23 | 100 |
| 2 2 6 | 36.08 | 32 |
| 0 6 8 | 55.24 | 20 |
| 2 4 11 | 56.87 | 22 |

Structure:
Unit cell a=7.2598 b=11.7436 c=25.2556 alpha=90.00 beta=90.00 gamma=90.00
Space group Cmme (No. 67)
Inequivalent atoms, fractional coordinates:
Pm1 0.0000 0.2500 0.0014 (multiplicity 4)
Pr1 0.0000 0.0029 0.9261 (multiplicity 8)
Pr2 0.0000 0.0244 0.4398 (multiplicity 8)
Pr3 0.2303 0.2500 0.5854 (multiplicity 8)
Pr4 0.2479 0.2500 0.1316 (multiplicity 8)
Pr5 0.2500 0.0000 0.1990 (multiplicity 8)
Pr6 0.2500 0.0000 0.3243 (multiplicity 8)
Ho1 0.0000 0.2500 0.2710 (multiplicity 4)
Ho2 0.0000 0.2500 0.7326 (multiplicity 4)

* * * * *

Record 1
Structure and simulated XRD peak list of Tm3Sn3Pd2Pt (a structure optimized by DFT (PBE); CuKα).
Kinematic intensities with the Lorentz-polarization factor, no thermal factor.

Atomic structure:
```
data_Tm3Sn3Pd2Pt
_chemical_formula_sum 'Tm3 Sn3 Pd2 Pt1'
_cell_length_a 7.4816
_cell_length_b 7.4816
_cell_length_c 3.9790
_cell_angle_alpha 90.00
_cell_angle_beta 90.00
_cell_angle_gamma 120.00
_symmetry_space_group_name_H-M 'P -6 2 m'
_symmetry_Int_Tables_number 189
_symmetry_space_group_name_Hall 'P -6 -2'
loop_
_atom_site_label
_atom_site_fract_x
_atom_site_fract_y
_atom_site_fract_z
Tm1 0.0000 0.4050 0.0000
Sn1 0.0000 0.7403 0.5000
Pd1 0.3333 0.6667 0.5000
Pt1 0.0000 0.0000 0.0000
```

Main lines, in order of rising 2θ (10 to 90 degrees two-theta):
32.86 deg, I 93, hkl 1 1 1; 35.74 deg, I 100, hkl 2 0 1; 36.70 deg, I 38, hkl 2 1 0; 41.83 deg, I 43, hkl 3 0 0; 43.39 deg, I 31, hkl 2 1 1; 67.23 deg, I 36, hkl 3 2 1

Record 2
Structure and simulated XRD peak list of PrGaBr7 (a structure optimized by DFT (PBE); CuKα).
Kinematic intensities with the Lorentz-polarization factor, no thermal factor.

Atomic structure:
```
data_PrGaBr7
_chemical_formula_sum 'Pr2 Ga2 Br14'
_cell_length_a 7.373
_cell_length_b 6.607
_cell_length_c 16.783
_cell_angle_alpha 90.00
_cell_angle_beta 105.78
_cell_angle_gamma 90.00
_symmetry_space_group_name_H-M 'P 1 c 1'
_symmetry_Int_Tables_number 7
_symmetry_space_group_name_Hall 'P -2yc'
loop_
_atom_site_label
_atom_site_fract_x
_atom_site_fract_y
_atom_site_fract_z
Pr1 0.000 0.070 0.000
Ga1 0.284 0.498 0.141
Br1 0.109 0.077 0.358
Br2 0.293 0.141 0.644
Br3 0.344 0.375 0.017
Br4 0.485 0.370 0.261
Br5 0.701 0.143 0.516
Br6 0.829 0.257 0.840
Br7 0.968 0.386 0.128
```

Main lines, in order of rising 2θ (10 to 90 degrees two-theta):
10.96 deg, I 65, hkl 0 0 2; 14.20 deg, I 100, hkl 1 0 -2; 17.34 deg, I 84, hkl 0 1 2; 18.35 deg, I 64, hkl 1 1 0; 26.97 deg, I 84, hkl 1 1 3; 27.74 deg, I 82, hkl 2 1 -1

Record 3
Structure and simulated XRD peak list of Pr2TcB5Os2 (a structure optimized by DFT (PBE); CuKα).
Kinematic intensities with the Lorentz-polarization factor, no thermal factor.

Atomic structure:
```
data_Pr2TcB5Os2
_chemical_formula_sum 'Pr4 Tc2 B10 Os4'
'''

Say how many lines of the calculation results above hold the word "P2", as a bare number.

1